“How do I stop stress eating?” is a common question in the nutrition space. The ability to make nutrition choices that keep you tracking towards your goals when you’re stressed can make a huge difference in your rate of progress.

The kids are getting the best of you, the house is a mess, that work project is proving a bit more complex than anticipated, that nagging injury is preventing you from sticking to your fitness routine, you are all caught up on your favorite Netflix shows but are way behind on your thesis project. All perfectly human and relatable stressors of life!

Suddenly, those kettle chips in the back of the pantry start whispering your name. Then, that whisper becomes a scream. After the first “crunch”, that inner dialogue starts to kick in:

  • “Why am I doing this? Why do I stress eat?” *crunch crunch* 
  • “I’m totally stress eating but I’m not going to stop” *crunch crunch* 
  • “I needed this after today” *crunch crunch* 
  • “I’ve been eating so good lately, now I’ve thrown it all away” *crunch crunch* 
  • “UGH how do I stop stress eating for good?” *crunch crunch* 
  • “I can’t believe I gave in like this, I am a failure” *crunch crunch… no more chips*  

If stress eating applies to you, then congratulations, you are officially human! At WAG Nutrition, our coaches work with members to identify where the stress is coming from and solve it from there. 

This begs the question, “why do I stress eat in the first place?”. Let’s dig in!

Why Do I Stress Eat? The Million Dollar Question

Before you read any further, let’s get on the same page about a few things. What is stress eating and why does it happen? 



What is Stress Eating?

Stress eating happens when people use food to help them deal with stressful situations [1]. 

There could be a number of reasons why you have a tendency to stress eat. Getting to the root cause will take deliberate thinking, self-reflection, and action to correct. 

What Causes Stress Eating?

Reflect on your daily life and connect the dots between the cause of stress and your urge to stress eat. Here are some examples:

  • Every time you have a tight deadline at work, you come home and crave all the things… chips, chocolate, wine, ice cream or anything you can get your hands on.
  • A few days before your period starts your hunger levels skyrocket and everything starts looking like the perfect snack.
  • An argument with your significant other or family member leads to not eating all day and increased hunger levels at night. You binge Netflix with a bowl of chips as a way to get your mind off of the things upsetting you.

Have you found yourself in a similar stress eating situation? 

Whatever the reason(s) may be, the takeaway is that stress eating is often preceded by a specific situation or trigger event. Keyword: Trigger. 

Stress eating is the response, not the trigger itself. This is why taking the time to dig deep and identify those triggers is so key.

Does Stress Cause Weight Gain?

The short answer is yes, stress can cause weight gain.

Stress eating is often unplanned, not an intentional addition to a balanced day. It is common to go overboard in quantity (eating many serving sizes) and quality (grabbing for snacky options). Let’s be honest, you’re not over there stress eating grilled chicken breasts and veggies, right?

When you eat more calories than your body needs to fuel your activity, this can cause weight gain. Cortisol, your stress hormone, can also cause increased hunger signaling which can trigger you to eat more calories [2]. 

Can Stress Cause Weight Loss?

On the flip side… Can stress cause weight loss? The answer to that is also “yes”.  

Confused? Check out this article if you are curious or want to learn more: Does Stress Affect Weight Loss?

Regardless of your health and nutrition goals, stress eating is bound to impact you in some way, shape or form. Whether your goal is weight gain or weight loss, stress eating will undoubtedly throw you off your game and off your plan. Especially if it is a recurring theme or habit in your day-to-day life. 

At this point, you may be thinking: “That’s great… but I still don’t know how to stop stress eating!”

How Do I Stop Stress Eating?

A stress-eating cycle is not a fun cycle to live in. Bicycles, tricycles, or strength cycles are the way to go! All joking aside, stress eating cycles can be very defeating. Just when you start committing to being consistent, something triggers you and the cycle takes you for a ride. 

“Ugh, how do I stop stress eating?”

Let’s focus on what you can do next time to break the cycle and learn how to stop stress eating for good. At WAG Nutrition, we encourage you to do something that might feel a little counterintuitive at first…

Use Compassion to Stop Stress Eating

Instead of beating yourself up about stress-eating, take a self-compassionate approach. This might be the first time in your life you do this, and that’s okay. It can feel a bit strange at first.

When you feel bad about yourself or your actions, it can make stress eating worse. This means it can be the perfect time to start practicing self-compassion. 

We are not talking about ignoring your problems or giving yourself permission to eat whatever you want. True self-compassion is an attitude of generosity, honesty, and kindness towards yourself. Self-compassion can prevent you from sinking into that “screw it” mindset that often leads to stress-eating or even binging.

Here’s how to do it effectively: when you “mess up”, give yourself a break. Step back and look at the big picture. Notice what you are doing, thinking, and feeling; without judging it. 

It is not a “mess up” or a mistake if you can learn from it and move forward in kindness. If anything, it was a necessary step on your longer-term health journey. 

If this feels kind of overly sentimental at first, we get it. Just keep practicing. Like any skill, self-compassion takes practice and repetition. In time, you will learn to see just how effective and powerful it can be.



Tips to Stop Stress Eating

Here are a few simple tips to prevent stress eating. You can start implementing these right away:

  1. Treats are more tempting when hunger is high so don’t grocery shop hungry. It is easier to use willpower and say no “once” when passing something in the grocery store than to grab it and bring it home and have to say “no” every time you open our pantry.
  2. Write a list before you go to the store, and stick with it. Not only will you be focused on just the items in your list but you will most likely be saving money not buying “random” items. Win, win!
  3. Do something productive. Being productive makes you feel good. Plus, doing something with your hands (so you can’t put them in a bag of chips) helps. Go for a walk, get back to that online course you started months ago, organize your closet, finally clean the kitchen, call a friend or loved one etc. Doing something that makes you feel proud will help turn around your stress.
  4. Ask yourself “does food solve my problem?”. Remember when you identified your stress eating triggers? Go back to that list and ask if overeating will really make you feel better and make that stressor go away. 99.9% of the time the answer is “nope, it will just make me MORE stressed.”

For more stress eating tips check out this article on curbing your emotional macro spending!

How to Stop Stress Eating at Work

You are at work, the staff room is filled with treats and food, and you are having one of those days! HELP! What can you do to stop stress eating at work? 

  • Plan your day in advance. What are you going to have for lunch? What are your snacks? 
  • Water, water, water - hydration helps curb hunger
  • Reflect on whether or not a “tempting” food in the staff room might be ineffective vs. effective for you and your goals 
  • Can you step outside and get some fresh air? Sometimes a change of scenery can do wonders to your mindset! 
  • Don’t deprive yourself! Depending on your goals, a reasonably-sized slice of the homemade banana cake your co-worker brought to celebrate her birthday is likely just fine.

Plan ahead and have a backup plan. Remember to communicate with your coach. Your WAG coach is there to help you learn to handle and manage these situations successfully.  

How to Stop Stress Eating at Night

It is Wednesday evening. Work is over for the day, kids are asleep, and it is time for a little “you time”. But that “you time” quickly turns into “you and snack time".

Are you bored? Are you actually hungry? What is, really, going on? 

Here is a tip: Have a plan! 

It is one of the most overused pieces of advice for a reason. Because it works! 

Do you notice a pattern in yourself of constantly fighting off late-night snacking urges? Do you notice that urge oftentimes turning into mindless stress eating? If you do notice these kinds of patterns, then you can come up with a game plan that sets you up for success going forward. 

How to Stop Stress Eating: An Exercise

What if you could break that cycle?

It all starts with self-reflection because those feelings and behaviors came from somewhere. At WAG, we often ask our clients to work through an exercise to help them notice and adjust their stress eating patterns.

It’s okay if you don’t have any huge “a-ha!” moments the first time you go through it. Try the stress eating exercise a few times and you will begin seeing patterns and trends. Chances are high you will start noticing connections between certain situations, people or feelings that led to overeating or other challenging food situations. 

Remember, you can always reach out to your WAG one-on-one nutrition coach, but implementing the steps above is a stress-eating start. Your self-confidence builds and strengthens over time and with past evidence of success. Celebrate and track your wins, and refer back to them when you’re feeling challenged! All the small things add up!

Unrelated to this article: calculated molecules.
=====
a:
Computed, not measured: a single C3H4N2O molecule, with ωB97M-V with the def2-TZVPD basis set.

Values from the calculation:
* HOMO: -10.2 eV
* SMILES string: NC(=O)[C@H]1C=N1

```
10
C3H4N2O, DFT ωB97M-V with the def2-TZVPD basis set
N -0.33 1.63 0.73
C -0.09 0.60 -0.14
O -0.18 0.76 -1.35
C 0.13 -0.80 0.35
C 0.08 -1.69 -0.80
N 1.25 -1.56 -0.36
H -0.46 2.51 0.25
H 0.13 1.67 1.62
H -0.09 -1.09 1.38
H -0.45 -2.03 -1.67
```

The molecule's Mulliken atomic charges, reported in e, are given here: -0.438, 0.446, -0.588, -0.135, -0.030, -0.455, 0.257, 0.233, 0.380, 0.328


b:
Computed, not measured: a single C3H4N2O molecule, with ωB97M-V with the def2-TZVPD basis set.

Values from the calculation:
* HOMO: -10.5 eV

```
10
C3H4N2O, DFT ωB97M-V with the def2-TZVPD basis set
N -1.08 0.93 -0.30
C -0.79 -0.17 0.44
O -1.56 -0.72 1.19
C 0.60 -0.78 0.27
C 2.20 0.79 -0.91
N 1.47 -0.10 -0.65
H -2.00 1.34 -0.20
H -0.39 1.36 -0.89
H 1.04 -0.92 1.26
H 0.50 -1.74 -0.21
```

The molecule's Mulliken atomic charges, reported in e, are given here: -0.332, 0.420, -0.593, -0.197, -0.033, -0.225, 0.226, 0.188, 0.301, 0.244


It is a that is the least stable of them.


a:
Computed, not measured: a single C3H4N2O molecule, with ωB97M-V with the def2-TZVPD basis set.

Values from the calculation:
* HOMO: -10.0 eV
* SMILES string: O=C1C=NCN1

```
10
C3H4N2O, DFT ωB97M-V with the def2-TZVPD basis set
O 0.06 1.39 -1.69
C -0.33 0.66 -0.81
C -0.62 -0.83 -0.89
N -0.14 -1.41 0.14
C 0.42 -0.33 0.96
N -0.33 0.87 0.57
H -1.05 -1.35 -1.73
H 1.45 -0.19 0.61
H 0.42 -0.57 2.03
H 0.12 1.75 0.82
```

The molecule's Mulliken atomic charges, reported in e, are given here: -0.548, 0.549, -0.073, -0.433, -0.382, -0.373, 0.362, 0.314, 0.308, 0.275


b:
Computed, not measured: a single C3H4N2O molecule, with ωB97M-V with the def2-TZVPD basis set.

Values from the calculation:
* HOMO: -10.4 eV
* SMILES string: OC1N=CC=N1

```
10
C3H4N2O, DFT ωB97M-V with the def2-TZVPD basis set
O -0.87 1.88 0.68
C -0.46 0.72 0.08
N 0.92 0.59 -0.23
C 1.11 -0.69 -0.26
C -0.11 -1.39 0.11
N -1.02 -0.55 0.48
H -0.21 2.56 0.49
H -1.09 0.45 -0.82
H 2.05 -1.14 -0.56
H -0.31 -2.45 0.02
```

The molecule's Mulliken atomic charges, reported in e, are given here: -0.470, 0.500, -0.534, -0.079, -0.192, -0.497, 0.340, 0.169, 0.379, 0.383


c:
Computed, not measured: a single C3H4N2O molecule, with ωB97M-V with the def2-TZVPD basis set.

Values from the calculation:
* HOMO (alpha / beta): -8.5 / -8.5 eV

```
10
C3H4N2O, DFT ωB97M-V with the def2-TZVPD basis set
O -2.13 0.08 0.46
C -0.78 0.11 0.30
C 0.17 1.03 0.62
C 1.34 0.36 -0.01
N 1.02 -0.99 -0.48
N -0.24 -1.00 -0.34
H -2.33 0.93 0.89
H 1.39 0.76 -1.05
H 2.34 0.46 0.41
H -0.77 -1.73 -0.80
```

The molecule's Mulliken atomic charges, reported in e, are given here: -0.508, 0.573, -0.850, -0.246, -0.659, 0.389, 0.354, 0.252, 0.396, 0.298


d:
Computed, not measured: a molecular structure, C3H4N2O, with ωB97M-V with the def2-TZVPD basis set.

Values from the calculation:
=====


  1. (2018, April 15th) How Do I Stop Stress Eating. Medical News Today. Retrieved From https://www.medicalnewstoday.com/articles/320935
  2. Epel, E., Lapidus, R., McEwen, B., & Brownell, K. (2001). Stress may add bite to appetite in women: a laboratory study of stress-induced cortisol and eating behavior. Psychoneuroendocrinology, 26(1), 37-49. doi: 10.1016/s0306-4530(00)00035-4.